Why cant I get a bf
Am I ugly? Rate me out of 10
Why cant I get a bf
Am I ugly? Rate me out of 10
Relatable. Can't get a gf either. You're 8/10 and I'd date you
You again?
........
1.
An optimized crystal structure of CrPb2Au2, computed with PBE.

For the energy above the most stable polymorph in this dataset, the calculation gives 0.5132 eV/atom. Its crystal system is tetragonal. The volume is 225.3 Å³ per cell. The value obtained for the density of states at the Fermi level is 6.9 states/eV/f.u. As for the spin magnetization: 0.000 μB per atom. The energy relative to the elements comes out at 337 kJ/mol of formula units.

The structure belongs to space group P4/mbm (No. 127); the cell edges are 7.458, 7.458 and 4.049 Å and the angles 90.00°, 90.00° and 90.00°. The inequivalent atoms are Cr at (0.000, 0.000, 0.000), Pb at (0.168, 0.332, 0.000) and Au at (0.138, 0.638, 0.500).


2.
An optimized crystal structure of ReNi2HgI, computed with PBE.

Its crystal system is tetragonal. The volume is 106.7 Å³ per cell. The value obtained for the density of states at the Fermi level is 2.8 states/eV/f.u. As for the formation energy without anion corrections: 1589 meV per atom. As for the spin magnetization: 0.466 μB per atom.

The structure belongs to space group P4/mmm (No. 123); the cell edges are 4.568, 4.568 and 5.114 Å and the angles 90.00°, 90.00° and 90.00°. The inequivalent atoms are Re at (0.000, 0.000, 0.000), Ni at (0.000, 0.500, 0.500), Hg at (0.500, 0.500, 0.000) and I at (0.000, 0.000, 0.500).


3.
An optimized crystal structure of Ba3ZnAs2O8, computed with PBE.

Its crystal system is trigonal. The volume is 281.1 Å³ per cell. The value obtained for the density of states at the Fermi level is 0.0 states/eV/f.u. As for the formation energy without anion corrections: -1935 meV per atom. As for the spin magnetization: 0.000 μB per atom.

The structure belongs to space group P-3m1 (No. 164); the cell edges are 5.8546, 5.8546 and 9.4680 Å and the angles 90.00°, 90.00° and 120.00°. The inequivalent atoms are Ba at (0.0000, 0.0000, 0.0000), Ba at (0.3333, 0.6667, 0.7214), Zn at (0.0000, 0.0000, 0.5000), As at (0.3333, 0.6667, 0.1675), O at (0.1738, 0.3477, 0.2305) and O at (0.3333, 0.6667, 0.9849).


4.
An optimized crystal structure of CePr2Nd3Y6, computed with PBE.

Its crystal system is monoclinic. The volume is 803.9 Å³ per cell. The value obtained for the density of states at the Fermi level is 18.4 states/eV/f.u. As for the spin magnetization: 0.093 μB per atom. The energy relative to the elements comes out at 36 kJ/mol of formula units.

The structure belongs to space group C2/m (No. 12); the cell edges are 6.298, 10.908 and 11.889 Å and the angles 90.00°, 100.16° and 90.00°. The inequivalent atoms are Ce at (0.000, 0.000, 0.000), Pr at (0.000, 0.333, 0.000), Nd at (0.000, 0.167, 0.500), Nd at (0.000, 0.500, 0.500), Y at (0.248, 0.000, 0.751) and Y at (0.248, 0.165, 0.249).


5.
An optimized crystal structure of DyY5Sn4, computed with PBE.
........
[End of the calculated crystals]
Hideous. Your only hope is to whore yourself out to strangers on the internet.
Now tits with time stamp or gtfo
Post tits si we can say
Why you keep asking that? I would surely date you if i could. Not to mention other things. You are beautiful!
This is a larp. This is a man pretending to be a woman.
This is Yea Forums! Tits or GTFO
>source: my ass
You're from /soc/ right?
I think I remember you.
You cake way too much makeup on, it looks weird, you look like some kind of mannequin dummy
Other than that you're a 5/10, you should have no problem getting a BF, either you're way too picky and you reject most of the dudes interested in you, or there's something weird or offputting about your personality that scares them away
shave that beard
Are you a boy or a girl?
Oh my .... Trips
This thread again?
This the fat girl copy pasta again? is that all Yea Forums is anymore?
Between two parts of the page: records of crystals:
=====
Below is a relaxed CaCo2F8 crystal, with properties calculated at the PBE with a Hubbard U level.

a b c (Å): 6.5033 6.5033 6.5033
angles (deg): 131.48 131.48 71.06
Fractional coordinates of all 11 atoms:
Ca 0.0000 0.0000 0.0000
Co 0.2500 0.7500 0.5000
Co 0.7500 0.2500 0.5000
F 0.0340 0.5485 0.8478
F 0.1862 0.0340 0.4854
F 0.2992 0.4515 0.4854
F 0.4515 0.9660 0.1522
F 0.5485 0.7008 0.5146
F 0.7008 0.1862 0.1522
F 0.8138 0.2992 0.8478
F 0.9660 0.8138 0.5146

Values from the calculation:
Its space-group type is I422, No. 97. Its volume is 13.7 Å³ per atom. The calculation puts the energy at -4.797 eV per atom.
=====
The records of crystals stop here:
I hardly have any makeup on lmao but ok thanks for input
I'm just shy that's all.
What part of me looks like a man? LOL
I'm a girl, you've spent way too much time on this board
You are pretty but in my opinion you should wear much more makeup. I imagine you with red lips and blue eyeshadow.. ok. Maybe its my imagination, but you are pretty cute even without it. Althrough i think it would be very sexy and would fit you very
Seems like it.
• Attached: materials data:
SrZr2Fe | PBE-GGA | optimized geometry

Structure (POSCAR):
```
SrZr2Fe
1.0
-0.179 -1.992 2.772
3.408 -0.265 0.030
0.491 6.877 4.974
Fe Sr Zr
1 1 2
Direct
0.000 0.000 0.434
0.500 0.500 0.707
0.000 0.000 0.065
0.500 0.500 0.295
```

Summary:
**VASP energy**: -26.2 eV/cell
**ρ**: 5.4 g/cm³
**Energy above the most stable polymorph in this dataset**: 0.0537 eV/atom
Post tits or feet with timestamp then I'll rate
>or feet
It's not OR you fucking foot weirdo summer fag. Ttis are obligatory.
tits or gtfo
post your tits with a timestamp or gtfo
Are you there spider-man? it's me, user.
Probably because you’re a dude pretending to be a girl on Yea Forums
You're not that overly attractive but you think you are causing you to have way to high of standards.
Also you seem boring and full of yourself
Rate me Yea Forums!
A man once told me time is a flat circle. You'll post this thread again, and again, and again, forever.
Triggered buzzfeed fags incoming
Poopum Charlie/cock
just like any other trump supporter,a fat loser
Has anyone ever told you you’re crazy?
I mean, all things considered, you’re definitely attractive but it appears you could stand to lose some weight. Something about pretty girls that are overweight usually screams crazy to me.
If you’re shy and expecting the guy to make the first move, maybe a big potential growth opportunity for you is to balls up and make the first move and don’t be afraid of rejection. It goes both ways, guys love a girl with confidence that knows what she wants. If two people both are shy but like each other, they’re doomed if one doesn’t just say something about it.
You’ve got a fighting chance. As long as you’re not crazy.
Your pretty but because your shy and dont make alot of eye contact guys dont think your into them and you really shouldn't come to Yea Forums for Confidence
Indeed! these pics trigger so many snowflakes.
My name is Ben.
Yeah I suppose you're right, can't argue with you there.